特任教授 / Project Professor 有馬 純ARIMA, Jun
Graduate School of Public Policy

Courses in AY 2024
- 5123021 環境政策
- 5123250 エネルギー政策
- 5123032-1 Energy Security
- 5140700-2 Case Study (International Energy Governance)
- 5179010-1 International Practical Research(Energy Security)
Education & Employment
University of Tokyo (Bachelor of Economics)
Ministry of International Trade and Industry (MITI), Ministry of Economy, Trade and Industry
First Secretary Embassy of Japan in Kenya
Counselor, Permanent Delegation of Japan to the OECD
Crystal structures, as found in the file:
+++
# 1
ZnFeO3, relaxed, DFT GGA+U; E_form = -1.464 eV/atom; E_tot = -5.52 eV per atom; SG = C2/c (15)
1.0
4.8367 -4.4674 0.0000
4.8367 4.4674 0.0000
-0.7107 0.0000 5.2638
Zn Fe O
4 4 12
Cartesian
1.5691 0.8481 1.5819
1.2138 -0.8481 4.2138
7.7488 0.8481 1.0500
7.3935 -0.8481 3.6819
4.6590 2.3669 1.3160
4.3037 0.7820 3.9479
4.6590 -0.7820 1.3160
4.3037 -2.3669 3.9479
0.8101 0.8844 3.3887
3.2047 2.1432 4.7819
1.1654 -0.8844 0.7568
3.5202 0.7346 1.9977
5.4026 2.1432 3.1139
3.1648 -0.7346 4.6296
5.7978 0.7346 0.6342
3.5601 -2.1432 2.1499
5.4425 -0.7346 3.2661
7.7972 0.8844 4.5070
5.7579 -2.1432 0.4820
8.1526 -0.8844 1.8751


# 2
Mg14CrBiO16, relaxed, DFT GGA+U; E_form = -2.703 eV/atom; E_tot = -5.89 eV per atom; SG = Pmmm (47)
1.0
4.3975 0.0000 0.0000
0.0000 8.7644 0.0000
0.0000 0.0000 8.8184
Mg Cr Bi O
14 1 1 16
Cartesian
0.0000 0.0000 0.0000
0.0000 2.1063 2.1249
0.0000 2.1063 6.6935
0.0000 4.3822 0.0000
0.0000 6.6581 2.1249
0.0000 6.6581 6.6935
2.1988 0.0000 2.1633
2.1988 0.0000 6.6551
2.1988 2.0535 4.4092
2.1988 2.1626 0.0000
2.1988 4.3822 2.0673
2.1988 4.3822 6.7511
2.1988 6.6017 0.0000
2.1988 6.7109 4.4092
0.0000 0.0000 4.4092
0.0000 4.3822 4.4092
0.0000 0.0000 2.0269
0.0000 0.0000 6.7915
0.0000 2.0414 4.4092
0.0000 2.2014 0.0000
0.0000 4.3822 2.0398
0.0000 4.3822 6.7786
0.0000 6.5629 0.0000
0.0000 6.7230 4.4092
2.1988 0.0000 0.0000
2.1988 0.0000 4.4092
2.1988 2.2038 2.2115
2.1988 2.2038 6.6069
2.1988 4.3822 0.0000
2.1988 4.3822 4.4092
2.1988 6.5605 2.2115
2.1988 6.5605 6.6069


# 3
Fe2H3F2, relaxed, DFT GGA+U; E_form = 0.419 eV/atom; E_tot = -3.23 eV per atom; SG = P4/n (85)
1.0
17.1678 0.0000 0.0000
0.0000 17.1678 0.0000
0.0000 0.0000 8.7156
Fe H F
8 12 8
Cartesian
0.0009 17.1656 1.1918
17.1669 0.0022 7.5237
17.1656 8.5830 1.1918
0.0022 8.5849 7.5237
8.5861 0.0009 1.1918
8.5817 17.1669 7.5237
8.5830 8.5861 1.1918
8.5849 8.5817 7.5237
0.0000 0.0000 4.3578
0.0000 8.5839 4.3578
1.7583 12.4377 1.2139
3.8538 15.4096 7.5017
4.7301 10.3422 7.5017
6.8256 13.3140 1.2139
8.5839 0.0000 4.3578
8.5839 8.5839 4.3578
10.3422 3.8538 7.5017
12.4377 6.8256 1.2139
13.3140 1.7583 1.2139
15.4096 4.7301 7.5017
17.1670 17.1673 3.2168
0.0008 0.0005 5.4988
17.1673 8.5847 3.2168
0.0005 8.5831 5.4988
8.5845 17.1670 3.2168
8.5834 0.0008 5.4988
8.5847 8.5845 3.2168
8.5831 8.5834 5.4988


# 4
Li5Mn4P8O28, relaxed, DFT GGA+U; E_form = -2.547 eV/atom; E_tot = -7.04 eV per atom; SG = P1 (1)
1.0
9.7839 0.0000 0.0000
0.0767 9.8019 0.0000
0.0575 2.5964 10.9681
Li Mn P O
10 8 16 56
Cartesian
0.0000 0.0000 0.0000
0.0620 1.5021 5.4924
3.0775 9.2745 0.1002
3.3157 6.4005 5.5183
4.4783 3.7343 6.0137
5.0195 2.3448 0.9692
5.1888 7.7162 0.7223
6.8554 11.0619 6.4757
8.0666 2.8526 0.7559
8.2980 8.3327 6.3091
1.2815 6.6095 2.3562
1.8245 1.7789 2.2860
3.4116 8.3094 7.8840
4.7401 1.5008 4.0289
6.3657 8.0370 9.5857
6.8095 3.2528 9.5497
8.2630 6.3856 4.0751
9.7085 3.3602 7.8747
0.6148 6.2630 6.8135
1.3159 9.5955 10.2073
1.9741 4.8406 10.2369
2.6946 11.2076 6.8691
3.3799 8.5235 3.1016
+++
Head, Country Studies Division, International Energy Agency (IEA)
Director General, Japan External Trade Organization (JETRO) London Office
Head, Country Studies Division International Energy Agency (IEA), Paris
Director, Intrernational Affairs Division, ANRE/METI
Director, International Energy Negotiation, ANRE/METI
Deputy Director General, Global Environmental Affairs METI
Director General, Japan External Trade Organization (JETRO) London
Research Fields
Energy Policy
Environment Policy
Environment Policy
Visiting Professor, International University,
Senior Policy Fellor Economic Reserach Insitute of ASEAN and East Asia (ERIA),
Project Leader, the 21st Century Public Policy,
Distinguished Senior Research Fellow, the Asia Pacific Institute of Research (APIR),
Visiting Researcher, Institute of Energy Economics of Japan (IEEJ)
Consulting Fellow, the Research Institute of Economy, Trade and Industry (RIETI),
Council Member German Japan Energy Transformation Coucil (GJETC)
Major Publications
Energy Policy of the IEA Countries (2003 Edition IEA) (Supervised and wrote “Executive Summary” and “Energy Market Trends)
Energy Policy of the IEA Countries (2004 Edition IEA) (Supervised and wrote “Executive Summary”, ”Energy Market Trends” and “In-depth Reviews in the Past 40 Years”)
Energy Policy of the IEA Countries (2005 Edition IEA) (Supervised and wrote “Executive Summary”, “2005 IEA Ministerial and G8 Gleneagles Summit”, “Cross-Country Overview” and “Energy Market Trends”)
Energy Policy of the IEA Countries (2006 Edition IEA) (Supervised)
Energy Security in Europe – Outlook, Challenges and Policies – (a part of “Asia and Europe – Cooperating for Energy Security”) (2003 IFRI)
Memoir on UN Negotiation related to the Kyoto Protocol (in Japanese) (2014 International Environment and Economy Institute)
Truth of Global Warming Negotiation – Economic War on National Interests- (in Japanese) (2015 Chuo Koron Shinsha)
Global Warming Prevention Measures with Pragmatism – Paris Agreement and Thereafter (in Japanese) (2016 Energy Forum)
**Next to the piece, the page also holds crystal structures**
********
# 1
An optimized crystal structure of Li2Ge7O15, computed with r2SCAN.

Calculated values
- M_tot (μB/f.u.) = 0.0
- symmetry = Pbcn
- electronic total energy (eV per atom) = -9.86
- DFT formation energy (meV/atom) = -1881.5

Cell: 7.388 9.740 16.786 Å, 90.00 90.00 90.00°
Positions (direct):
O (0.810, 0.347, 0.851)
O (0.310, 0.153, 0.351)
O (0.000, 0.250, 0.984)
O (0.356, 0.908, 0.918)
O (0.699, 0.064, 0.251)
O (0.199, 0.436, 0.751)
O (0.001, 0.096, 0.141)
O (0.793, 0.588, 0.588)
O (0.858, 0.333, 0.507)
O (0.690, 0.347, 0.351)
O (0.199, 0.936, 0.249)
O (0.862, 0.329, 0.670)
O (0.144, 0.408, 0.582)
O (0.862, 0.829, 0.330)
O (0.362, 0.171, 0.170)
O (0.362, 0.671, 0.830)
O (0.644, 0.592, 0.918)
O (0.642, 0.333, 0.007)
O (0.138, 0.171, 0.670)
O (0.810, 0.847, 0.149)
O (0.142, 0.667, 0.493)
O (0.638, 0.329, 0.170)
O (0.207, 0.912, 0.588)
O (0.144, 0.908, 0.418)
O (0.358, 0.667, 0.993)
O (0.358, 0.167, 0.007)
O (0.801, 0.564, 0.249)
O (0.356, 0.408, 0.082)
O (0.293, 0.912, 0.088)
O (0.190, 0.153, 0.851)
O (0.707, 0.088, 0.912)
O (0.801, 0.064, 0.751)
O (0.293, 0.412, 0.912)
O (0.142, 0.167, 0.507)
O (0.190, 0.653, 0.149)
O (0.638, 0.829, 0.830)
O (0.301, 0.436, 0.251)
O (0.699, 0.564, 0.749)
O (0.644, 0.092, 0.082)
O (0.500, 0.250, 0.484)
O (0.499, 0.596, 0.359)
O (0.501, 0.404, 0.641)
O (0.500, 0.750, 0.516)
O (0.999, 0.404, 0.141)
O (0.501, 0.904, 0.359)
O (0.690, 0.847, 0.649)
O (0.138, 0.671, 0.330)
O (0.856, 0.092, 0.582)
O (0.301, 0.936, 0.749)
O (0.642, 0.833, 0.993)
O (0.999, 0.904, 0.859)
O (0.858, 0.833, 0.493)
O (0.856, 0.592, 0.418)
O (0.499, 0.096, 0.641)
O (0.707, 0.588, 0.088)
O (0.793, 0.088, 0.412)
O (0.207, 0.412, 0.412)
O (0.310, 0.653, 0.649)
O (0.001, 0.596, 0.859)
O (0.000, 0.750, 0.016)
Ge (0.214, 0.472, 0.156)
Ge (0.714, 0.528, 0.344)
Ge (0.285, 0.249, 0.441)
Ge (0.783, 0.967, 0.840)
Ge (0.500, 0.750, 0.913)
Ge (0.217, 0.533, 0.840)
Ge (0.215, 0.249, 0.941)
Ge (0.285, 0.749, 0.559)
Ge (0.000, 0.750, 0.413)
Ge (0.715, 0.251, 0.441)
Ge (0.286, 0.972, 0.344)
Ge (0.717, 0.467, 0.660)
Ge (0.214, 0.972, 0.844)
Ge (0.283, 0.033, 0.660)
Ge (0.717, 0.967, 0.340)
Ge (0.000, 0.250, 0.587)
Ge (0.215, 0.749, 0.059)
Ge (0.783, 0.467, 0.160)
Ge (0.715, 0.751, 0.559)
Ge (0.785, 0.251, 0.941)
Ge (0.286, 0.472, 0.656)
Ge (0.283, 0.533, 0.340)
Ge (0.714, 0.028, 0.656)
Ge (0.786, 0.028, 0.156)
Ge (0.500, 0.250, 0.087)
Ge (0.785, 0.751, 0.059)
Ge (0.786, 0.528, 0.844)
Ge (0.217, 0.033, 0.160)
Li (0.000, 0.500, 0.500)
Li (0.000, 0.250, 0.760)
Li (0.500, 0.250, 0.260)
Li (0.000, 0.000, 0.500)
Li (0.500, 0.500, 0.000)
Li (0.500, 0.000, 0.000)
Li (0.500, 0.750, 0.740)
Li (0.000, 0.750, 0.240)

***

# 2
An optimized crystal structure of Li2PmGe, computed with r2SCAN.

Calculated values
- M_tot (μB/f.u.) = 0.0
- symmetry = Fm-3m
- electronic total energy (eV per atom) = -12.48
- DFT formation energy (meV/atom) = -436.1

Cell: 4.640 4.640 4.640 Å, 60.00 60.00 60.00°
Positions (direct):
Pm (0.750, 0.750, 0.750)
Ge (0.250, 0.250, 0.250)
********
Trump Risk - America First and Global Warming (in Japanese) (2017 Energy Forum)
Energy Policy of the IEA Countries (2004 Edition IEA) (Supervised and wrote “Executive Summary”, ”Energy Market Trends” and “In-depth Reviews in the Past 40 Years”)
Energy Policy of the IEA Countries (2005 Edition IEA) (Supervised and wrote “Executive Summary”, “2005 IEA Ministerial and G8 Gleneagles Summit”, “Cross-Country Overview” and “Energy Market Trends”)
Energy Policy of the IEA Countries (2006 Edition IEA) (Supervised)
Energy Security in Europe – Outlook, Challenges and Policies – (a part of “Asia and Europe – Cooperating for Energy Security”) (2003 IFRI)
Memoir on UN Negotiation related to the Kyoto Protocol (in Japanese) (2014 International Environment and Economy Institute)
Truth of Global Warming Negotiation – Economic War on National Interests- (in Japanese) (2015 Chuo Koron Shinsha)
Global Warming Prevention Measures with Pragmatism – Paris Agreement and Thereafter (in Japanese) (2016 Energy Forum)
Trump Risk - America First and Global Warming (in Japanese) (2017 Energy Forum)